
All things SQL and JDBC...
fabrao 2021-03-09T04:04:23.001600Z

hello all, I have a sequence in postgresql, is there any way to use this sequence with next/jdbc to do insert! without using insert as string?

fabrao 2021-03-09T08:06:19.005600Z

yes, that´s I want, like nextval

fabrao 2021-03-09T08:06:25.005800Z

thank you

fabrao 2021-03-09T09:01:09.006Z

Hello Sean, your example is not working

fabrao 2021-03-09T09:11:00.006200Z

this is working

   (sfmt-help/insert-into :smtb_flow)
   (sfmt-help/values [{:id_flow (sfmt/call :nextval "seq_fluxo") :nm_flow "Teste" :id_company 1 :ds_flow_title "Teste" :dt_created (sfmt/call :NOW)}])
   (sfmt/format {:parameterizer :none})

jb recluse 2021-03-09T14:52:30.007Z

@fabrao are you using v2 as indicated? it worked for me:

(require '[honey.sql :as sql])
(require '[honey.sql.helpers :refer :all :as h])
(-> (insert-into :my_tbl)
    (values [{:id [:nextval "my_seq"] :my_col "foo"}])
    (sql/format {:inline true}))
["INSERT INTO my_tbl (id, my_col) VALUES (NEXTVAL('my_seq'), 'foo')"]
when using
seancorfield/honeysql {:mvn/version "2.0.0-alpha2"}

fabrao 2021-03-09T21:20:53.007200Z

Ho, I did not check about version 2

seancorfield 2021-03-09T21:46:32.007400Z

It's worth noting that the nextval('seq') form works like that only because it is evaluated inline, but if you are not inlining all your parameters (and you probably should not do that -- b/c of SQL injection dangers), then you can just choose to line part of the expression:

(values [{:id [:nextval [:inline "my_seq"]] :my_col "foo"}])
(without the {:inline true} in the sql/format call)

seancorfield 2021-03-09T21:47:38.007600Z

What will happen here is that "foo" will be lifted out as a parameter, but the sequence name will be inlined:

["INSERT INTO my_tbl (id, my_col) VALUES (NEXTVAL('my_seq'), ?)" "foo"]
which gives you the best of both worlds.

jb recluse 2021-03-09T21:49:26.008400Z

definitely worth noting, thanks! i was not aware that was possible

seancorfield 2021-03-09T21:53:40.008600Z

V2 syntax is a lot more composable than V1.

seancorfield 2021-03-09T04:14:28.002300Z

Can you explain what you mean by "a sequence in postgresql"?

seancorfield 2021-03-09T04:15:30.002700Z

Are you talking about arrays? There's a section in the docs about that: https://cljdoc.org/d/seancorfield/next.jdbc/1.1.613/doc/getting-started/tips-tricks#working-with-arrays

seancorfield 2021-03-09T04:22:12.004100Z

And, in general, if you don't want to work with strings -- and the next.jdbc.sql functions don't do what you need -- the recommendation is always to use HoneySQL to produce the vector of SQL string and parameters.

jb recluse 2021-03-09T05:29:25.004200Z

(jdbc/execute! ds ["create sequence my_seq start 1 increment 2"])
=> [#:next.jdbc{:update-count 0}]
(jdbc/execute! ds ["create table my_tbl (id int primary key, my_col varchar)"])
=> [#:next.jdbc{:update-count 0}]
(jdbc/execute! ds ["insert into my_tbl values (nextval('my_seq'), ?)" "foo"])
=> [#:next.jdbc{:update-count 1}]
(jdbc/execute! ds ["select * from my_tbl"])
=> [#:my_tbl{:id 1, :my_col "foo"}]
(jdbc/execute! ds ["insert into my_tbl values (nextval('my_seq'), ?)" "bar"])
=> [#:next.jdbc{:update-count 1}]
(jdbc/execute! ds ["select * from my_tbl"])
=> [#:my_tbl{:id 1, :my_col "foo"} #:my_tbl{:id 3, :my_col "bar"}]
not sure if i hit on the nuance you are looking for?

jb recluse 2021-03-09T05:29:58.004400Z

oh, not even close, you wanted to use insert!

Attached: calculated molecules:
+++
#A
A cluster of 3 separate species, C4H14O3 in total. Source: OMol25; level of theory: ωB97M-V with the def2-TZVPD basis set.

Element x y z (Å)
C  -0.65650  -1.59986  -1.43665
O  -0.61421  -0.95389  -2.75851
C  -1.36630  -0.74849  -0.43772
C  -1.52756  -1.45120  0.96251
C  -2.52012  -0.75382  1.87306
H  0.35913  -1.99735  -1.25962
H  -1.36743  -2.52117  -1.54939
H  -1.38989  -1.13642  -3.31002
H  -0.68037  0.12260  -0.08885
H  -2.25915  -0.22520  -0.77049
H  -1.84121  -2.53488  0.66942
H  -0.59130  -1.71096  1.52094
H  -3.59860  -0.46304  1.48517
H  -2.83811  -1.42177  2.71691
H  -2.21486  0.23698  2.39300
H  3.77729  2.16229  0.30869
H  3.44752  2.70934  -1.10346
O  4.04168  2.05620  -0.60273
H  1.31914  1.97438  2.56417
H  2.77054  2.37513  1.73414
O  1.76381  2.61648  1.97652

**Spin multiplicity**: 1
**SMILES**: CCCCO.O.O
**E_HOMO**: -10.32 eV

---

#B
A cluster of 3 separate species, C4H14O3 in total. Source: OMol25; level of theory: ωB97M-V with the def2-TZVPD basis set.

Element x y z (Å)
C  0.49410  1.58326  -1.03707
O  0.07928  2.82948  -1.58742
C  0.19171  1.60132  0.54469
C  -0.29419  0.18858  0.96151
C  0.12359  -0.12209  2.38423
H  1.55263  1.38152  -1.25130
H  -0.12578  0.73702  -1.31873
H  -0.27399  2.69051  -2.47140
H  1.19133  1.81879  0.89260
H  -0.57425  2.36971  0.59289
+++
The article goes on:

jb recluse 2021-03-09T05:30:01.004600Z

one sec

jb recluse 2021-03-09T05:41:17.004800Z

it appears that insert! expects all the values to be sent as ?-params, which is not how using seqs in postgres works afaik. so i dont think you'll be able to do this. however a suitably designed table doesnt need to explicitly use a sequence:

(jdbc/execute! ds ["create table my_serial_tbl (id serial primary key, my_col varchar)"])
=> [#:next.jdbc{:update-count 0}]
(require '[next.jdbc.sql :as sql])
=> nil
(sql/insert! ds :my_serial_tbl {:my_col "foo"})
=> #:my_serial_tbl{:id 1, :my_col "foo"}
(jdbc/execute! ds ["select * from my_serial_tbl"])
=> [#:my_serial_tbl{:id 1, :my_col "foo"}]

jb recluse 2021-03-09T06:01:40.005Z

(def my-insert (-> (insert-into :my_tbl)
                   (values [{:id "nextval('my_seq')" :my_col "'foo'"}])
                   (sql/format :parameterizer :none)))
=> #'user/my-insert
(jdbc/execute! ds my-insert)
=> [#:next.jdbc{:update-count 1}]
(jdbc/execute! ds ["select * from my_tbl"])
=> [#:my_tbl{:id 1, :my_col "foo"} #:my_tbl{:id 3, :my_col "bar"} #:my_tbl{:id 5, :my_col "foo"}]
this is using honeysql as @seancorfield recommended. note that you have to supply the single quotes for strings when you turn off parameterization (which you have to do to get the nextval call to work)

seancorfield 2021-03-09T06:20:47.005200Z

@chetlind_clojure That's with V1. Not much of that applies with V2 which handles string inlining correctly, as well as also supporting nextval out of the box.

seancorfield 2021-03-09T06:24:18.005400Z

(-> (insert-into :my_tbl)
    (values [{:id [:nextval "my_seq"] :my_col "foo"}])
    (sql/format {:inline true}))
That should work on V2 as you expect.